26th January, 2017
While it was once hoped that biofuel would be a game-changer for transport emissions, evidence has since emerged of unwanted effects from biofuel production, including direct effects such as deforestation to grow biofuel crops, and ‘Indirect Land Use Change’ (ILUC) effects such as the use of previously forested land for agriculture (if agricultural land is used) for biofuel. Recent European Commission research that tries to capture these ‘ILUC impacts’ suggests European biofuel policy may in fact be increasing emissions overall, when compared with fossil fuel, the UK Government has noted. Research in the US has recently reached a similar conclusion.
As a result, the Government is keen to shift incentives away from crop-based fuels and towards fuel made from wastes that cannot be reused or recycled and has recently consulted on proposed policy changes to help deliver this. In particular it wants to incentivise what it calls ‘development fuels’ – fuels made with novel processes that are not currently affordable to produce at scale, including sustainable aviation fuel.
The Renewable Transport Fuels Obligation (RTFO) currently requires that 4.75% of fuel supplied for transport (not including aviation) must be from renewable sources. Under the EU Renewable Energy Directive, this percentage should increase to 10% by 2020. The Government’s proposal for aviation is that while suppliers of aviation fuel would not be mandated to produce a given quantity of biofuel, aviation biofuel could count towards suppliers’ renewable fuel obligations.
Should aviation get priority when it comes to accessing limited biofuel supplies?
(The page is interrupted by records of molecules)
The following is a DFT calculation (ωB97M-V with the def2-TZVPD basis set) of 2 unconnected molecules or ions with the total composition C4H11N2O.

The value obtained for the HOMO energy is -13.758 eV. Its net charge is +1. The value obtained for the relative energy (zero: lowest compared OMol25 entry of this formula, charge and spin) is 157.8 kJ/mol. As for the gap between HOMO and LUMO: 8.766 eV.

Last column: Löwdin charge in e.
Cartesian coordinates (Å):
C  1.417  -1.073  -1.391  -0.061
C  1.032  -0.987  0.074  -0.185
C  -0.995  -1.499  1.356  0.188
N  -0.366  -1.460  0.252  0.059
H  1.390  -2.100  -1.752  0.089
H  0.724  -0.461  -1.965  0.068
H  2.417  -0.675  -1.532  0.096
H  1.627  -1.677  0.675  0.136
H  1.132  0.015  0.463  0.110
H  -2.045  -1.750  1.330  0.129
H  -0.409  -1.284  2.241  0.133
H  -0.888  -1.619  -0.608  0.178
C  -0.339  2.190  -0.214  -0.424
N  -1.326  2.533  0.638  0.131
O  -0.489  1.502  -1.203  0.000
H  0.622  2.671  0.019  0.138
H  -2.283  2.344  0.377  0.113
H  -1.221  3.329  1.240  0.103

The following is a DFT calculation (ωB97M-V with the def2-TZVPD basis set) of a gas-phase ion, C4H11N2O (charge +1).

The value obtained for the HOMO energy is -14.729 eV. Its net charge is +1. The value obtained for the relative energy (zero: lowest compared OMol25 entry of this formula, charge and spin) is 303.4 kJ/mol. As for the gap between HOMO and LUMO: 11.389 eV.

Last column: Löwdin charge in e.
Cartesian coordinates (Å):
C  1.509  0.212  0.467  -0.195
C  -0.851  -1.735  -0.341  -0.042
C  0.440  0.513  -0.450  -0.225
C  -0.869  -0.235  -0.322  -0.377
N  1.956  -0.946  0.374  0.197
N  -0.043  2.008  -0.191  0.226
O  -1.409  0.268  0.909  -0.015
H  1.767  1.106  1.080  0.140
H  -0.187  -2.325  0.263  0.072
H  -0.605  -2.087  -1.405  0.131
H  -1.910  -1.965  -0.154  0.105
H  0.790  0.315  -1.413  0.149
H  -1.596  -0.073  -1.198  0.185
H  2.620  -1.214  1.048  0.074
H  -0.722  1.676  0.527  0.111
H  -0.485  2.321  -1.056  0.172
H  0.811  2.480  0.254  0.186
H  -1.216  -0.320  1.609  0.108

The following is a DFT calculation (ωB97M-V with the def2-TZVPD basis set) of 2 unconnected molecules or ions with the total composition C4H11N2O.

The value obtained for the HOMO energy is -14.163 eV. Its net charge is +1. The value obtained for the relative energy (zero: lowest compared OMol25 entry of this formula, charge and spin) is 332.2 kJ/mol. As for the gap between HOMO and LUMO: 8.882 eV.

Last column: Löwdin charge in e.
Cartesian coordinates (Å):
C  -0.438  -0.722  -0.615  -0.287
C  1.874  -0.057  -1.215  0.015
C  -2.148  0.903  0.961  -0.083
C  1.023  -0.750  -0.253  -0.242
N  1.412  -1.587  0.636  0.312
N  -0.867  1.157  0.256  -0.015
O  -1.171  -1.416  0.055  0.018
H  -0.837  -0.366  -1.504  0.128
H  1.485  0.142  -2.164  0.079
H  2.060  1.085  -0.809  0.182
H  2.905  -0.424  -1.286  0.106
H  -2.035  0.686  2.048  0.106
H  -2.891  1.690  0.732  0.104
H  -2.554  -0.005  0.556  0.058
H  2.390  -1.499  0.770  0.157
The aviation industry has argued strongly that given the limited options for decarbonisation of air travel, it should get priority in accessing the limited stocks of sustainable biofuel that are likely to be available in future, including having access to government incentive schemes. The Government’s proposals to extend the RTFO to aviation, and to create a specific sub-target for ‘development fuels’ designed to meet specific ‘strategic needs’ – such as tackling aviation’s CO2 impact – go some way towards acknowledging this argument.
Yet the Government is also keen to point out that with the electric vehicle market still in its infancy, road transport will remain heavily dependent on liquid fuels for decades. In order to meet the CO2 cuts required under the Climate Change Act, therefore, cars will continue to need access to renewable liquid fuels even if electric cars sales are successfully increased, the Government argues. The Committee on Climate Change (CCC) similarly argues that sustainable biomass should be used as efficiently as possible, with preference given to the use of wood in construction and of bioenergy with carbon capture and storage rather than to create biofuel for aviation.
Our view
AEF’s response to the Government’s consultation on the RTFO argues that: